[Wanted]
Could you echo everything below without altering anything?
[Contents]
____________
Record 1
Simulated PXRD pattern of BaScSn for Cu Kα X-rays, from a DFT-relaxed cell (GGA-PBE, Alexandria).

Top 12 peaks for 2θ = 10–80°, sorted by position:
3.540 Å, 25.16°, intensity 76; 3.253 Å, 27.42°, intensity 20; 3.182 Å, 28.05°, intensity 100; 2.685 Å, 33.37°, intensity 65; 2.503 Å, 35.87°, intensity 63; 1.967 Å, 46.14°, intensity 51; 1.905 Å, 47.74°, intensity 27; 1.770 Å, 51.64°, intensity 22; 1.583 Å, 58.28°, intensity 16; 1.516 Å, 61.13°, intensity 26; 1.478 Å, 62.88°, intensity 20; 1.316 Å, 71.73°, intensity 14

abc: 5.0066 5.0066 8.2412
angles: 90.00 90.00 90.00
Fractional coordinates of all 6 atoms:
Ba 0.2500 0.2500 0.1555
Ba 0.7500 0.7500 0.8445
Sc 0.2500 0.7500 0.5000
Sc 0.7500 0.2500 0.5000
Sn 0.2500 0.2500 0.7012
Sn 0.7500 0.7500 0.2988



Record 2
Simulated PXRD pattern of Ac2CdC2 for Cu Kα X-rays, from a DFT-relaxed cell (GGA-PBE, Alexandria).

Top 12 peaks for 2θ = 10–80°, sorted by position:
3.961 Å, 22.45°, intensity 16; 3.410 Å, 26.13°, intensity 100; 3.394 Å, 26.26°, intensity 26; 3.369 Å, 26.46°, intensity 39; 3.344 Å, 26.66°, intensity 58; 2.789 Å, 32.09°, intensity 24; 2.723 Å, 32.90°, intensity 96; 2.641 Å, 33.95°, intensity 28; 2.153 Å, 41.96°, intensity 32; 2.078 Å, 43.55°, intensity 29; 1.758 Å, 52.03°, intensity 16; 1.752 Å, 52.22°, intensity 16

abc: 8.9767 8.9767 7.4198
angles: 113.72 113.72 28.19
Fractional coordinates of all 10 atoms:
Ac 0.0220 0.6760 0.9120
Ac 0.3240 0.9780 0.5880
Ac 0.6760 0.0220 0.4120
Ac 0.9780 0.3240 0.0880
Cd 0.3829 0.6171 0.7500
Cd 0.6171 0.3829 0.2500
C 0.1357 0.4089 0.4835
C 0.4089 0.1357 0.9835
C 0.5911 0.8643 0.0165
C 0.8643 0.5911 0.5165

* * * * *

# 1
This entry pairs a crystal structure of KSm2PuTe4 with its computed PXRD pattern. Radiation: Cu Kα (λ = 1.5418 Å). Structure: DFT lattice parameters and positions (PBE).
Intensities are scaled so that the largest is 100.

Cell and atoms:
```
data_KSm2PuTe4
_cell_length_a 7.878
_cell_length_b 4.481
_cell_length_c 7.960
_cell_angle_alpha 90.00
_cell_angle_beta 108.72
_cell_angle_gamma 90.00
_symmetry_space_group_name_H-M 'P 1 2/m 1'
_symmetry_Int_Tables_number 10
_symmetry_space_group_name_Hall '-P 2y'
loop_
_atom_site_label
_atom_site_type_symbol
_atom_site_fract_x
_atom_site_fract_y
_atom_site_fract_z
K1 K 0.000 0.000 0.000
Sm1 Sm 0.000 0.500 0.500
Sm2 Sm 0.500 0.000 0.500
Pu1 Pu 0.500 0.500 0.000
Te1 Te 0.255 0.000 0.744
Te2 Te 0.263 0.500 0.266
```

Peak list (10 most intense, 10 to 90 degrees two-theta, sorted by position)
2θ 11.86, I 9; 2θ 27.74, I 100; 2θ 39.04, I 13; 2θ 39.47, I 26; 2θ 39.79, I 25; 2θ 40.25, I 12; 2θ 49.58, I 13; 2θ 57.30, I 13; 2θ 64.60, I 12; 2θ 65.04, I 12

---

# 2
This entry pairs a crystal structure of K4Pu3SnTe8 with its computed PXRD pattern. Radiation: Cu Kα (λ = 1.5418 Å). Structure: DFT lattice parameters and positions (PBE).
Intensities are scaled so that the largest is 100.

Cell and atoms:
```
data_K4Pu3SnTe8
_cell_length_a 9.1140
_cell_length_b 9.1140
_cell_length_c 8.3639
_cell_angle_alpha 90.00
_cell_angle_beta 90.00
_cell_angle_gamma 120.00
_symmetry_space_group_name_H-M 'P -3 m 1'
_symmetry_Int_Tables_number 164
_symmetry_space_group_name_Hall '-P 3 2"'
loop_
_atom_site_label
_atom_site_type_symbol
_atom_site_fract_x
_atom_site_fract_y
_atom_site_fract_z
K1 K 0.0000 0.0000 0.0000
K2 K 0.0000 0.5000 0.0000
Pu1 Pu 0.0000 0.5000 0.5000
Sn1 Sn 0.0000 0.0000 0.5000
Te1 Te 0.1711 0.3423 0.7060
Te2 Te 0.3333 0.6667 0.2942
```

Peak list (10 most intense, 10 to 90 degrees two-theta, sorted by position)
2θ 10.58, I 76; 2θ 24.95, I 76; 2θ 31.16, I 100; 2θ 39.56, I 80; 2θ 41.06, I 19; 2θ 49.32, I 15; 2θ 51.19, I 25; 2θ 60.05, I 15; 2θ 66.56, I 22; 2θ 71.78, I 27

---

# 3
This entry pairs a crystal structure of K2TbPuTe4 with its computed PXRD pattern. Radiation: Cu Kα (λ = 1.5418 Å). Structure: DFT lattice parameters and positions (PBE).
Intensities are scaled so that the largest is 100.

Cell and atoms:
```
data_K2TbPuTe4
_cell_length_a 7.885
_cell_length_b 4.546
____________
[Solution]
Record 1
Simulated PXRD pattern of BaScSn for Cu Kα X-rays, from a DFT-relaxed cell (GGA-PBE, Alexandria).

Top 12 peaks for 2θ = 10–80°, sorted by position:
3.540 Å, 25.16°, intensity 76; 3.253 Å, 27.42°, intensity 20; 3.182 Å, 28.05°, intensity 100; 2.685 Å, 33.37°, intensity 65; 2.503 Å, 35.87°, intensity 63; 1.967 Å, 46.14°, intensity 51; 1.905 Å, 47.74°, intensity 27; 1.770 Å, 51.64°, intensity 22; 1.583 Å, 58.28°, intensity 16; 1.516 Å, 61.13°, intensity 26; 1.478 Å, 62.88°, intensity 20; 1.316 Å, 71.73°, intensity 14

abc: 5.0066 5.0066 8.2412
angles: 90.00 90.00 90.00
Fractional coordinates of all 6 atoms:
Ba 0.2500 0.2500 0.1555
Ba 0.7500 0.7500 0.8445
Sc 0.2500 0.7500 0.5000
Sc 0.7500 0.2500 0.5000
Sn 0.2500 0.2500 0.7012
Sn 0.7500 0.7500 0.2988



Record 2
Simulated PXRD pattern of Ac2CdC2 for Cu Kα X-rays, from a DFT-relaxed cell (GGA-PBE, Alexandria).

Top 12 peaks for 2θ = 10–80°, sorted by position:
3.961 Å, 22.45°, intensity 16; 3.410 Å, 26.13°, intensity 100; 3.394 Å, 26.26°, intensity 26; 3.369 Å, 26.46°, intensity 39; 3.344 Å, 26.66°, intensity 58; 2.789 Å, 32.09°, intensity 24; 2.723 Å, 32.90°, intensity 96; 2.641 Å, 33.95°, intensity 28; 2.153 Å, 41.96°, intensity 32; 2.078 Å, 43.55°, intensity 29; 1.758 Å, 52.03°, intensity 16; 1.752 Å, 52.22°, intensity 16

abc: 8.9767 8.9767 7.4198
angles: 113.72 113.72 28.19
Fractional coordinates of all 10 atoms:
Ac 0.0220 0.6760 0.9120
Ac 0.3240 0.9780 0.5880
Ac 0.6760 0.0220 0.4120
Ac 0.9780 0.3240 0.0880
Cd 0.3829 0.6171 0.7500
Cd 0.6171 0.3829 0.2500
C 0.1357 0.4089 0.4835
C 0.4089 0.1357 0.9835
C 0.5911 0.8643 0.0165
C 0.8643 0.5911 0.5165

* * * * *

# 1
This entry pairs a crystal structure of KSm2PuTe4 with its computed PXRD pattern. Radiation: Cu Kα (λ = 1.5418 Å). Structure: DFT lattice parameters and positions (PBE).
Intensities are scaled so that the largest is 100.

Cell and atoms:
```
data_KSm2PuTe4
_cell_length_a 7.878
_cell_length_b 4.481
_cell_length_c 7.960
_cell_angle_alpha 90.00
_cell_angle_beta 108.72
_cell_angle_gamma 90.00
_symmetry_space_group_name_H-M 'P 1 2/m 1'
_symmetry_Int_Tables_number 10
_symmetry_space_group_name_Hall '-P 2y'
loop_
_atom_site_label
_atom_site_type_symbol
_atom_site_fract_x
_atom_site_fract_y
_atom_site_fract_z
K1 K 0.000 0.000 0.000
Sm1 Sm 0.000 0.500 0.500
Sm2 Sm 0.500 0.000 0.500
Pu1 Pu 0.500 0.500 0.000
Te1 Te 0.255 0.000 0.744
Te2 Te 0.263 0.500 0.266
```

Peak list (10 most intense, 10 to 90 degrees two-theta, sorted by position)
2θ 11.86, I 9; 2θ 27.74, I 100; 2θ 39.04, I 13; 2θ 39.47, I 26; 2θ 39.79, I 25; 2θ 40.25, I 12; 2θ 49.58, I 13; 2θ 57.30, I 13; 2θ 64.60, I 12; 2θ 65.04, I 12

---

# 2
This entry pairs a crystal structure of K4Pu3SnTe8 with its computed PXRD pattern. Radiation: Cu Kα (λ = 1.5418 Å). Structure: DFT lattice parameters and positions (PBE).
Intensities are scaled so that the largest is 100.

Cell and atoms:
```
data_K4Pu3SnTe8
_cell_length_a 9.1140
_cell_length_b 9.1140
_cell_length_c 8.3639
_cell_angle_alpha 90.00
_cell_angle_beta 90.00
_cell_angle_gamma 120.00
_symmetry_space_group_name_H-M 'P -3 m 1'
_symmetry_Int_Tables_number 164
_symmetry_space_group_name_Hall '-P 3 2"'
loop_
_atom_site_label
_atom_site_type_symbol
_atom_site_fract_x
_atom_site_fract_y
_atom_site_fract_z
K1 K 0.0000 0.0000 0.0000
K2 K 0.0000 0.5000 0.0000
Pu1 Pu 0.0000 0.5000 0.5000
Sn1 Sn 0.0000 0.0000 0.5000
Te1 Te 0.1711 0.3423 0.7060
Te2 Te 0.3333 0.6667 0.2942
```

Peak list (10 most intense, 10 to 90 degrees two-theta, sorted by position)
2θ 10.58, I 76; 2θ 24.95, I 76; 2θ 31.16, I 100; 2θ 39.56, I 80; 2θ 41.06, I 19; 2θ 49.32, I 15; 2θ 51.19, I 25; 2θ 60.05, I 15; 2θ 66.56, I 22; 2θ 71.78, I 27

---

# 3
This entry pairs a crystal structure of K2TbPuTe4 with its computed PXRD pattern. Radiation: Cu Kα (λ = 1.5418 Å). Structure: DFT lattice parameters and positions (PBE).
Intensities are scaled so that the largest is 100.

Cell and atoms:
```
data_K2TbPuTe4
_cell_length_a 7.885
_cell_length_b 4.546